Thursday, March 30, 2006

Ewe R Spaced Out


I want, as a rule, to refrain from swearing in this blog. The idea was to challenge my volcabulary for a better expression. To challenge my writing ability to new heights.
However, I've got a dislike of perfection or anything prententious enough to attempt to emulate perfection. As as the blog was looking reasonably swear-word free I thought I'd write the word cunt slap bang in the middle of it.
So there you are


Nerd Muscle

The nerd muscle can be found on in the area above the right eyebrow (see above). The relative size and strength of the nerd muscle corresponds directly with the will to 'geek off' in seclusion to the exception of lots more wholesome activites.
My nerd muscle is getting slack, I think its due to wholesome activities such as getting fit for 30, and refusal to eat any more Haribo. I've neglected reading about the latest hardware and software developments and have given only minimal time to cracking wireless encryption.
I havent read the latest RFC specifications, and horror of horrors I'm spending time with my girlfriend, my student copy of MATLAB remains in its box!. This all amounts to a rather slack nerd muscle with some wastage.
Fear not, this morning , (weird morning that it was) I felt for the first time since this blog started. The urge to wake up and program/read/hack I think my nerd muscle has been reactivated by a combination of sleep deprevation and excessive sunshine.

Thursday, March 23, 2006

The cult of pie

At our company we've introduced team lunches every Friday.

I ordered pie 3 times in a row and this email began to be circulated amongst the developers.

I mean honestly!

(I think its quite funny)

Tuesday, March 21, 2006

In the beginning......

In the beginning there was dirt.
The dirt was the muck of the world and swirled and bubbled under the firmanent above. And thus it was called the great Glub.
Then She said
"Let there be nice things"
And henceforth sprang the cuddly , beamers and boppers, soothers and understanders. And She brought forth all the goodness locked inside the glub and smoothed thier corners and made nice the things which were a little bit soiled.
When she looked at what She had created she smiled, and said
"These shall be named PEOPLE"
But lo, the Great Glub became even glubbier and bubbled indignantly.
"Lady of the 8 heavens, what injustice is this that you take out of me the cuddly, soothing and downright chipper bits and leave me to stink in my stinkiness"
Seeing the filth of Glub left behind , She took pity and formed from that glubby Glub that which we call ugly, stupid and a tad dense.
"She said - Oh people of the glub, please understand there was not much left in the glub from which to form the wise and the chipper, the deft and the nimble, the quick and the brave.
But you shall be called the GREAT STUPID! And people will marvel and come from far and wide to me struck dumb by your great stupidity."
Then Keiron the Nosepicker stepped forth and spake:
"But lady we have no homes, where apon shall us, Sons of Glub reside to recieve such aclaim?"
She then pulled back the muck from thier beady eyes and smilled.
As they looked on the Sons of Glub saw rows and rows of glass fronted houses. Some said T-mobile, others Orange, others the Link.
"Behold, I give you residence in Mobile Phone Stores, Go Forth and spread your thickness and stupidity far and wide. Amaze people with your lack of knowledge of even the simplest things. Waste time, look dumbly at the people that enter your premises - GO NOW SONS OF GLUB AND FULFILL YOUR DESTINY"
and so it was

My Mum crashed her car

........
[1]
Calculated X-ray diffraction stick pattern
Compound: Hg2PbSO6
Radiation: copper Kα
Structure: a crystal structure in Alexandria, relaxed with GGA-PBE
Kinematic intensities with the Lorentz-polarization factor, no thermal factor.

Cell lengths 5.7416, 5.7416, 5.7416 Å; angles 59.28, 59.28, 59.28 degrees
Sites, in units of the cell vectors:
1 Hg 0.2453 0.2453 0.2453
2 Hg 0.7547 0.7547 0.7547
3 Pb 0.0000 0.0000 0.0000
4 S 0.5000 0.5000 0.5000
5 O 0.1926 0.6810 0.4125
6 O 0.3190 0.5875 0.8074
7 O 0.4125 0.1926 0.6810
8 O 0.5875 0.8074 0.3190
9 O 0.6810 0.4125 0.1926
10 O 0.8074 0.3190 0.5875

Top 10 peaks for 10° ≤ 2θ ≤ 90°, low angle first:
19.11°, rel. 172; 31.16°, rel. 1000; 31.51°, rel. 917; 44.90°, rel. 408; 55.22°, rel. 187; 55.88°, rel. 409; 56.10°, rel. 215; 64.98°, rel. 138; 74.01°, rel. 187; 74.57°, rel. 174



[2]
Calculated X-ray diffraction stick pattern
Compound: HgPbSe2O6
Radiation: copper Kα
Structure: a crystal structure in Alexandria, relaxed with GGA-PBE
Kinematic intensities with the Lorentz-polarization factor, no thermal factor.

Cell lengths 7.3695, 7.3695, 7.7550 Å; angles 102.83, 102.83, 108.79 degrees
Sites, in units of the cell vectors:
1 Hg 0.0590 0.9410 0.7500
2 Hg 0.9410 0.0590 0.2500
3 Pb 0.2815 0.7185 0.2500
4 Pb 0.7185 0.2815 0.7500
5 Se 0.1976 0.3898 0.7121
6 Se 0.3898 0.1976 0.2121
7 Se 0.6102 0.8024 0.7879
8 Se 0.8024 0.6102 0.2879
9 O 0.0434 0.7849 0.4300
10 O 0.1279 0.4929 0.8923
11 O 0.2151 0.9566 0.0700
12 O 0.2286 0.3055 0.2875
13 O 0.3055 0.2286 0.7875
14 O 0.4929 0.1279 0.3923
15 O 0.5071 0.8721 0.6077
16 O 0.6945 0.7714 0.2125
17 O 0.7714 0.6945 0.7125
18 O 0.7849 0.0434 0.9300
19 O 0.8721 0.5071 0.1077
20 O 0.9566 0.2151 0.5700

Top 10 peaks for 10° ≤ 2θ ≤ 90°, low angle first:
13.39°, rel. 211; 22.42°, rel. 107; 24.84°, rel. 531; 24.96°, rel. 138; 25.88°, rel. 1000; 29.83°, rel. 227; 32.20°, rel. 165; 33.25°, rel. 158; 41.73°, rel. 239; 47.24°, rel. 134



[3]
Calculated X-ray diffraction stick pattern
Compound: HgPbSeO
Radiation: copper Kα
Structure: a crystal structure in Alexandria, relaxed with GGA-PBE
Kinematic intensities with the Lorentz-polarization factor, no thermal factor.

Cell lengths 13.6240, 13.6240, 13.6240 Å; angles 17.42, 17.42, 17.42 degrees
Sites, in units of the cell vectors:
1 Hg 0.2463 0.2463 0.2463
2 Hg 0.7537 0.7537 0.7537
3 Pb 0.0000 0.0000 0.0000
4 Pb 0.5000 0.5000 0.5000
5 Se 0.3809 0.3809 0.3809
6 Se 0.6191 0.6191 0.6191
7 O 0.1946 0.1946 0.1946
8 O 0.8054 0.8054 0.8054

Top 10 peaks for 10° ≤ 2θ ≤ 90°, low angle first:
26.47°, rel. 724; 26.58°, rel. 221; 30.69°, rel. 1000; 43.88°, rel. 448; 44.03°, rel. 391; 52.02°, rel. 346; 54.50°, rel. 206; 72.45°, rel. 182; 72.66°, rel. 146; 80.76°, rel. 138
........
**End of the crystal structures:**

my mum crashed her car, and as much as I should have been worried . There was a little smug part of me that was rather pleased. I remember feeling whats best described as a dark heat rise in my belly and spread itself along my chest.
That feeling was the 'Serves you right' feeling with a touch of 'I told you so'.
I knew I should be mature and show concern , and for everyone around me I did.
"God, I hope shes alright"
But Im going to admit , I took pleasure in it although I knew it was wrong - like peeing you're pants as a kid and enjoying the warmth. I did, and damit i enjoyed it.

Perhaps I knew that she wouldnt have been able to have a bad crash.
As it turned out she'd just backed into a wall when reversing out of her space.

(I need to keep telling myself that)


I spent some time wondering if blogs were just an ego centric waste of time.
This kinda came up after a party I was at somewhere in courtfield gardens in london city. Some girl asked me what my vibe was and I told her to read my blog.
I thought about this later and I felt stupid. When I refer people to my writings instead of telling them face to face, something must be wrong. I could take this to the extreme and let the writings become my reason for everything, I could just document my whole life into this beast and no one will ever have to talk to me again.
"How are you doing Greg"
"Read my blog"
"er ... are you alright?"
"Read my blog"
"Greg?! Whats happening to you?!?"
"Read my ....."
Is that the purpose? Well, no! Its just that there was so much to tell her, about the christians, my mum, tibet, bode, minty, energy , mum , dad.
Whats my vibe?
My vibe is a whole packet of jelly beans stuffed in your mouth at once.

Plato talked about human existence being like those stuck in a cave , [I've just realised how pretentious this sounds but please bear with me] that the human experience were mere shadows cast onto a wall and that people are unable to turn thier heads and see the truth.

Greg = Substance
Blog = Shadow



Monday, March 06, 2006

She visits.....

Being perfect Elektra never had a harsh words to say, in fact she didnt say anything at all.
The transmutation of pure thought to speech is degrading. Communication with a being of perfection should be through telepathy or singing.
It occured to me that perhaps it may be possible to devise a language based purely on tone.
Elektra would be a siren.
I wrote a poem about it.
* * * * *
One day, after a particularly hot sunny day during the summer holidays, sleepy with the heat; I lay in on the sofa in the living room and quickly fell into a drowsy snooze.
Before I fell alseep I remember staring hazily at the sunlight filtering through the trees in the back garden; watching the dappled sunlight dancing on the wall.

The next thing I remember was being awake and not able to move, I saw colours swirling on the wall opposite the window, and for split second, in the distance, I thought I could hear the sweetest singing........


When I was in college , I was a bit of a freak
(a close friend swears that the first day he met me I was eating pages out of the bible)
I used to wear a cossak hat, listen to hendrix, was born again christian - heavily influenced by the buddha of suburbia I was also heavily into moutain biking.
I hung out with a similar freak called Mark Telepnef.
He introduced me to weird world of biking spirituality , guru of which was minty
Mark believed that if you were speeding down a hill or around a blind corner, music blaring and everything feeling right in your mind and body, theres no need to stop.
Typical day: hang out at Marks house with his jumble of animals listening to music - then when it was late enough and the traffic started to die down. We'd don walkmans and go out riding dodging between traffic , hopping curbs, jumping lights until we got to a friends house, kebab shop - whatever - those were good times - and I was superfit!

After woeing to Mark on my singledom (ever tried to get a date as a born again, with a passion for computers and hendrix?),
Mark told me one day
"The perfect woman for you may be alive, or dead - she may have existed in another life or world - but she loves you with all her heart."
Hence I decided to love before love, to believe before I'd seen.
I decided to commit myself to that special someone who loved me with all her heart.
Problem was I didnt know who she was.
However , I what I did know was that her name would be Elektra.

Sunday, March 05, 2006

How things work......

Its evident that my mum doesnt understand the world she lives in. That she was able to survive for so long points to something that im at odds to admit but at the same time cannot deny.
My mum exists in a world populated by signs and omens, she interprets a wink a gesture, or a tone of voice as having meaning where we (the laughably normal) have indifference.

She's needed to look at other ways of understanding the world, and to a greater or lesser extent shes been successful.

This really questions the nature of order.

[I hope this last sentence makes sense, I dont want to explain further]

Ah Patmore

Some random memories:
slamming off a skateboard on a concrete quaterpipe and hearing the sounds of my 'friends' literally cracking up (tyrone james and anthony alexander) I will never forget.
Deli getting two toddlers to fight by stirring trouble between them. We just sat around and laughed children can be so viscious.
Falling for a girl, that was also schizophrenic (she actually ended up in the same day centre as my mum)
sitting around smoking weed and hearing one boy begging his friends not to 'drum' his house while he was away on holiday.


I never lived in Patmore , but i used to live around the corner near Battersea Park.
Growing up I remember the stairs that descended opposite the dogs home, to the notorious Patmore Estate. This is where all the badness went down - this is where kids went to smoke weed, have sex, or drum each others houses. Nothing good ever came out of patmore but lots of fun was had there.

'''
Structure and calculated PXRD pattern of Ba2PaIn3 (a DFT-relaxed cell (PBE, OQMD); Cu Kα (λ = 1.5418 Å)).
No peak broadening, texture or thermal motion is included.

Peak list (6 most intense, 2θ = 5–70°, by angle)
2θ (°), d [Å], I_rel
21.6, 4.107, 30
27.3, 3.263, 26
29.9, 2.989, 36
31.2, 2.864, 100
31.7, 2.826, 26
50.8, 1.797, 26

Lattice parameters (Å, degrees): 6.522 11.311 5.979 90.00 90.00 90.00
Atoms (fractional coordinates):
Ba 0.000 0.166 0.000
Ba 0.000 0.834 0.000
Ba 0.500 0.334 0.000
Ba 0.500 0.666 0.000
Pa 0.000 0.500 0.000
Pa 0.500 0.000 0.000
In 0.000 0.000 0.500
'''

So it was with slight nausia and nostalgia that I rolled into patmore estate, with crusty eyes and picki hair. (n.b. this probably helped maintain street cred for later).

The paranoid part of the term paranoid schizophrenia means that my mum doesnt trust anyone, let alone her long lost son. So it was that I got half the story, that she'd paid for the car and wanted me to move it to her house.
The car was a T-Reg, that made it over 20 years old, a complete rustbucket not worth 100 let alone 800.
After opening the car door - A west indian lady poked her head out of one of the myriad of windows
"She 'vent pay for the car ! What areya doing?"
After getting cussed and shouted at. I managed to get the number of her husband - who was dealing with the matter.
"Who dis?"
"My mum bought a car from you?"
"Wha ya want"
"Listen, my mums paranoid schizophrenic, she cant drive, you cant sell it to her"
"Ahlright, Ok I'll come round tommorrow"
Deal done.
Apart from the fact that my mums now not speaking to me for taking away her car.
I drove home and went back to bed.


After another late night I was woken by my brother. He tells me that my mums arrived for visiting, its 10.00am at the latest, I'm trying to hide my morning glory and wondering why on earth my mum always seems to turn up when i need to lie in.
My mums schizophrenic, the doctors officially prescribed her as paranoid schizophrenic. For the layman this means that she has a distorted idea of events and what is true.
Did I say distorted, the things that she believes are out of this world.
Take for instance the fact that she doesnt believe she has grey hair, or that she remembers a plane flight to nigeria, as climbing stairs into the clouds, or that she thinks that I have an evil twin; as an indication.
Todays story that needed my immediate attention was that she had seen a car with her name on it and bought it for £800 from a guy in the patmore estate.
To her credit there does exist a model from the car called a skoda Felicia, however she had taken it as a 'sign' that she should buy the car.
So it was after finding out that we'd run out of gas and thereby hotwater, that i had a cold wash, slipped on a top some jeans and a jacket, and began driving to the estate that I'd left so long ago.

How to become a bad mother

Thursday, March 02, 2006

Women, universally inscrutable

# These crystal structures were left in the article by mistake
/*
No. 1
Starting from the GGA-PBE geometry in Alexandria, the powder diffractogram of La5Pr2Ho4 was calculated for Cu Kα, 1.54184 Å.
Intensities are scaled so that the largest is 100.

Most intense lines, 10 to 80 degrees two-theta, low angle first:
| Position (°2θ) | intensity |
| --- | --- |
| 27.7 | 36 |
| 29.5 | 54 |
| 30.8 | 65 |
| 31.7 | 100 |
| 35.1 | 40 |
| 36.4 | 48 |

Structural model:
```
11
Lattice="-1.790 4.670 11.911 1.790 -4.670 11.911 1.790 4.670 -11.911" Properties=species:S:1:pos:R:3 pbc="T T T"
La 0.000 0.000 0.000
La 1.790 1.863 -3.426
La 1.790 1.863 3.426
La 0.000 2.808 8.485
La 0.000 2.808 15.338
Pr 1.790 0.000 6.383
Pr 0.000 4.670 5.529
Ho 1.790 2.960 0.000
Ho 1.790 0.000 9.630
Ho 0.000 4.670 2.281
Ho 0.000 1.710 11.911
```

No. 2
Starting from the GGA-PBE geometry in Alexandria, the powder diffractogram of TmBiIrPd was calculated for Cu Kα, 1.54184 Å.
Intensities are scaled so that the largest is 100.

Most intense lines, 10 to 80 degrees two-theta, low angle first:
| Position (°2θ) | intensity |
| --- | --- |
| 22.5 | 4 |
| 37.1 | 100 |
| 43.9 | 2 |
| 53.5 | 18 |
| 67.0 | 36 |
| 79.1 | 11 |

Structural model:
```
4
Lattice="0.000 3.423 3.423 3.423 0.000 3.423 3.423 3.423 0.000" Properties=species:S:1:pos:R:3 pbc="T T T"
Tm 0.000 0.000 0.000
Bi 3.423 3.423 3.423
Ir 5.135 5.135 5.135
Pd 1.712 1.712 1.712
```

No. 3
Starting from the GGA-PBE geometry in Alexandria, the powder diffractogram of Ho2Mg2Ag3 was calculated for Cu Kα, 1.54184 Å.
Intensities are scaled so that the largest is 100.

Most intense lines, 10 to 80 degrees two-theta, low angle first:
| Position (°2θ) | intensity |
| --- | --- |
| 21.7 | 50 |
| 21.7 | 23 |
| 33.4 | 23 |
| 36.3 | 100 |
| 37.5 | 92 |
| 53.1 | 23 |

Structural model:
```
7
Lattice="4.149 -2.401 0.000 4.149 2.401 0.000 -2.745 0.000 8.220" Properties=species:S:1:pos:R:3 pbc="T T T"
Ho 0.013 0.000 3.037
Ho 5.539 0.000 5.183
Mg 2.770 0.000 0.933
Mg 2.783 0.000 7.287
Ag 0.000 0.000 0.000
Ag 0.013 0.000 6.223
Ag 5.540 0.000 1.997
```

No. 4
Starting from the GGA-PBE geometry in Alexandria, the powder diffractogram of SmTm4Sc was calculated for Cu Kα, 1.54184 Å.
Intensities are scaled so that the largest is 100.

Most intense lines, 10 to 80 degrees two-theta, low angle first:
| Position (°2θ) | intensity |
| --- | --- |
| 28.5 | 39 |
| 29.4 | 43 |
| 31.7 | 78 |
| 33.0 | 100 |
| 33.1 | 57 |
| 34.5 | 53 |

Structural model:
```
12
Lattice="4.360 -7.157 0.000 4.360 7.157 0.000 -2.068 0.000 5.859" Properties=species:S:1:pos:R:3 pbc="T T T"
Sm 2.809 5.921 4.394
Sm 3.843 -5.921 1.465
Tm 0.021 1.814 5.144
Tm 2.561 2.755 2.715
Tm 1.055 -1.814 2.215
Tm 5.125 2.755 0.215
Tm 1.527 -2.755 5.644
Tm 5.597 1.814 3.644
Tm 4.091 -2.755 3.144
Tm 6.631 -1.814 0.715
Sc 3.843 0.012 1.465
Sc 2.809 -0.012 4.394
```

No. 5
Starting from the GGA-PBE geometry in Alexandria, the powder diffractogram of GaSiNiOs was calculated for Cu Kα, 1.54184 Å.
Intensities are scaled so that the largest is 100.
*/
# Back to the article

wei says:
wei says:
are you busy?
Greg says:
Greg says:
how are you
wei says:
wei says:
i'm in sichuan
wei says:

wei says:
maybe, i will have chance to tibat
Greg says:
Greg says:
Greg says:
u must se lijian i think thats how its spelled
Greg says:
you went without me!
Greg says:
wei says:
Greg says:
who are you with
wei says:
i'm not for trip, i'm on work
Greg says:
you MUST go to lhasa
Greg says:
oh i see
Greg says:
send me photos
Greg says:
wei says:
i hope, if i have chance
wei says:
of course, i will send you
Greg says:
Greg says:
I was thinking about weiwei today
wei says:
maybe, i will be in sichuan for a year
wei says:
for work
wei says:
Greg says:
i havent visited them for such a long time, i dont like to lose friends
like that
Greg says:
maybe i'll come and see you sichuan
wei says:
Greg says:
how is the food? strange ?
wei says:
hot, not strange
wei says:
if you have chance to China this year, i could go to lasha with you
Greg says:
Yibian wo yao kan weiwei danshi wo yao xue putonghua
Greg says:
Hao le!
wei says:
your chinese is better and better, dear
Greg says:
Xiexie ni , xianzai wo xue yi dian
wei says:
and, one supprise news, i split with my boyfriend
Greg says:
Greg says:
Greg says:
why was he cheating?
wei says:
Greg says:
Greg says:
were you cheating?
Greg says:
wei says:
Greg says:
Greg says:
wei says:
wei says:
wei says:
so, i find a work in sichuan
wei says:

Greg says:
did you split because you find a job in sichuan? what are you doing in
wei says:
i mean a surprise new.
wei says:
wei says:
a spelling error
Greg says:

Greg says:
can you do me a favour
wei says:
because we finish the love between us, then i find a job working in
wei says:
are you joking?
Greg says:
no , i want you to write chun shiao
Greg says:
I used to be able to remember it
Greg says:
that poem - chu chu wenti niao
Greg says:
I cant remember it - and i want to remember it always
wei says:
if you could come to china, i think maybe you could have chance
wei says:
yes, i remember also
Greg says:
tell me your address
wei says:
but, but...
Greg says:
and your phone number
wei says:
ok, dear, stop joking
Greg says:
im serious
wei says:
i don't want live in England with you
Greg says: